Your job: say how many lines of the calculation results further below hold the word "meV", as a bare number.

~~~
1.
## CdMoN2 (PBE)

Data for an optimized crystal structure of CdMoN2.

Lattice parameters (Å, degrees): 6.8166 6.8166 6.8166 27.25 27.25 27.25
Positions (direct):
N  0.9047  0.9047  0.9047
N  0.0953  0.0953  0.0953
Cd  0.5000  0.5000  0.5000
Mo  0.0000  0.0000  0.0000

Computed properties:
Its density of states at the Fermi level is 3.7 states/eV per cell. The value obtained for the uncorrected formation energy is 0.969 eV/atom.



2.
## ZnBi2Pd2 (PBE)

Data for an optimized crystal structure of ZnBi2Pd2.

Lattice parameters (Å, degrees): 3.9229 3.9229 8.0920 75.97 75.97 90.00
Positions (direct):
Pd  0.2500  0.7500  0.5000
Pd  0.7500  0.2500  0.5000
Zn  0.0000  0.0000  0.0000
Bi  0.6161  0.6161  0.7679
Bi  0.3839  0.3839  0.2321

Computed properties:
Its density of states at the Fermi level is 2.8 states/eV per cell. The energy relative to the elements is -0.002 eV per atom. Its distance to the lowest polymorph of the same formula is 195 meV/atom.



3.
## Zr4TiH10 (PBE)

Data for an optimized crystal structure of Zr4TiH10.

Lattice parameters (Å, degrees): 4.3887 5.8964 5.8964 82.04 68.15 68.15
Positions (direct):
H  0.6642  0.2861  0.9027
H  0.5669  0.0973  0.2861
H  0.1470  0.2861  0.9027
H  0.9503  0.9027  0.7139
Zr  0.2022  0.3997  0.1959
H  0.2500  0.5000  0.5000
H  0.8530  0.7139  0.0973
Ti  0.0000  0.0000  0.0000
H  0.0497  0.0973  0.2861
H  0.3358  0.7139  0.0973
H  0.7500  0.5000  0.5000
Zr  0.6019  0.1959  0.6003
H  0.4331  0.9027  0.7139
Zr  0.7978  0.6003  0.8041
Zr  0.3981  0.8041  0.3997

Computed properties:
Its density of states at the Fermi level is 3.5 states/eV per cell. As for the uncorrected energy: -5.59 eV/atom.



4.
## Mg2ZrRh4 (PBE)

Data for an optimized crystal structure of Mg2ZrRh4.

Lattice parameters (Å, degrees): 4.3528 4.3528 6.9838 108.16 108.16 90.00
Positions (direct):
Mg  0.7433  0.7433  0.4867
Zr  0.0000  0.0000  0.0000
Rh  0.3778  0.8778  0.7555
Rh  0.8778  0.3778  0.7555
Mg  0.2567  0.2567  0.5133
Rh  0.6222  0.1222  0.2445
Rh  0.1222  0.6222  0.2445

Computed properties:
Its density of states at the Fermi level is 5.3 states/eV per cell. The energy relative to the elements is -0.340 eV per atom.



5.
## ScAl3Ni2 (PBE)

Data for an optimized crystal structure of ScAl3Ni2.

Lattice parameters (Å, degrees): 4.0740 4.0740 12.5284 90.00 90.00 120.00
Positions (direct):
Sc  0.0000  0.0000  0.2500
Ni  0.6667  0.3333  0.4278
Al  0.3333  0.6667  0.3759
Al  0.0000  0.0000  0.0000
Ni  0.3333  0.6667  0.9278
Al  0.3333  0.6667  0.1241
Ni  0.6667  0.3333  0.0722
Ni  0.3333  0.6667  0.5722
Al  0.0000  0.0000  0.5000
Al  0.6667  0.3333  0.6241
Al  0.6667  0.3333  0.8759
Sc  0.0000  0.0000  0.7500

Computed properties:
Its density of states at the Fermi level is 4.9 states/eV per cell. The energy relative to the elements is -0.561 eV per atom. Its distance to the lowest polymorph of the same formula is 0 meV/atom.



6.
## Y2AsH2 (PBE)

Data for an optimized crystal structure of Y2AsH2.

Lattice parameters (Å, degrees): 7.0424 7.0424 3.1153 90.00 90.00 90.00
Positions (direct):
As  0.5000  0.5000  0.0000
Y  0.1696  0.6696  0.5000
H  0.6054  0.1054  0.0000
Y  0.3304  0.1696  0.5000
H  0.8946  0.6054  0.0000
H  0.3946  0.8946  0.0000
H  0.1054  0.3946  0.0000
Y  0.6696  0.8304  0.5000
Y  0.8304  0.3304  0.5000
As  0.0000  0.0000  0.0000

Computed properties:
Its density of states at the Fermi level is 3.1 states/eV per cell. Its distance to the lowest polymorph of the same formula is 385 meV/atom.



7.
## Tb12Dy7Mg (PBE)

Data for an optimized crystal structure of Tb12Dy7Mg.

Lattice parameters (Å, degrees): 10.3707 10.3707 10.3707 109.47 109.47 109.47
Positions (direct):
Tb  0.7393  0.0951  0.3559
Tb  0.6441  0.7393  0.3834
Tb  0.7393  0.3834  0.6441
Tb  0.3559  0.2607  0.6166
Tb  0.0951  0.3559  0.7393
Dy  0.0000  0.5000  0.5000
Dy  0.5000  0.0000  0.5000
Dy  0.0000  0.5000  0.0000
Mg  0.0000  0.0000  0.0000
Dy  0.0000  0.0000  0.5000
Dy  0.5000  0.0000  0.0000
Tb  0.3559  0.7393  0.0951
~~~

3